As the second-fastest growing state in the country, Idaho is experiencing the pains of rapid population growth. However, one vital issue remains largely unseen by the public eye: rising cybersecurity threats.
With Idaho quickly becoming a hub for economic and technological growth, the state is seeking to establish itself as a leader in innovative cybersecurity. Boise State was quick to hop on the bandwagon.
Last year, Boise State launched the Institute for Pervasive Cybersecurity (IPC), whose goal is to “facilitate strategic partnerships between industry, higher education and government to improve cybersecurity for the state and the nation.”
**Inserted here: data records:**
# 1
Starting from the PBE geometry in Alexandria, the PXRD pattern of Li4CdAg2 was calculated for Cu Kα.

Peak list (6 most intense, 2θ from 10° to 90°, most intense first)
2theta, I (rel.), hkl
27.74, 100, 1 1 0
39.53, 95, 1 1 4
20.70, 64, 1 0 1
27.60, 49, 0 0 4
39.63, 48, 2 0 0
48.97, 39, 2 0 4

```
data_Li4CdAg2
_chemical_formula_sum 'Li8 Cd2 Ag4'
_space_group_name_H-M_alt 'I 4/m m m'
_space_group_IT_number 139
_space_group_name_Hall '-I 4 2'
_cell_length_a 4.5487
_cell_length_b 4.5487
_cell_length_c 12.9287
_cell_angle_alpha 90.00
_cell_angle_beta 90.00
_cell_angle_gamma 90.00
loop_
_atom_site_label
_atom_site_fract_x
_atom_site_fract_y
_atom_site_fract_z
_atom_site_occupancy
Li1 0.0000 0.5000 0.1292 1
Cd1 0.0000 0.0000 0.0000 1
Ag1 0.0000 0.0000 0.2417 1
```

***

# 2
Starting from the PBE geometry in Alexandria, the PXRD pattern of Li7CdAg2 was calculated for Cu Kα.

Peak list (6 most intense, 2θ from 10° to 90°, most intense first)
2theta, I (rel.), hkl
24.21, 100, 1 0 1
28.79, 41, 0 1 2
35.23, 38, 1 0 3
39.47, 38, 1 1 0
42.81, 27, 0 1 4
17.75, 26, 0 0 2

```
data_Li7CdAg2
_chemical_formula_sum 'Li7 Cd1 Ag2'
_space_group_name_H-M_alt 'P 3 m 1'
_space_group_IT_number 156
_cell_length_a 4.5658
_cell_length_b 4.5658
_cell_length_c 9.9943
_cell_angle_alpha 90.00
_cell_angle_beta 90.00
_cell_angle_gamma 120.00
loop_
_space_group_symop_operation_xyz
'x,y,z'
'-y,x-y,z'
'-x+y,-x,z'
'-y,-x,z'
'-x+y,y,z'
'x,x-y,z'
loop_
_atom_site_label
_atom_site_fract_x
_atom_site_fract_y
_atom_site_fract_z
_atom_site_occupancy
Li1 0.0000 0.0000 0.0000 1
Li2 0.0000 0.0000 0.2440 1
Li3 0.0000 0.0000 0.4986 1
Li4 0.3333 0.6667 0.0398 1
Li5 0.3333 0.6667 0.6563 1
Li6 0.6667 0.3333 0.4509 1
Li7 0.6667 0.3333 0.8449 1
Cd1 0.3333 0.6667 0.3363 1
Ag1 0.0000 0.0000 0.7493 1
Ag2 0.6667 0.3333 0.1524 1
```

***

# 3
Starting from the PBE geometry in Alexandria, the PXRD pattern of Li3CdAg3 was calculated for Cu Kα.

Peak list (6 most intense, 2θ from 10° to 90°, most intense first)
2theta, I (rel.), hkl
29.63, 100, 2 -1 3
39.16, 65, 3 -1 1
35.95, 44, 0 2 4
17.75, 43, 0 1 2
40.49, 42, 1 1 6
15.32, 24, 1 0 1

```
data_Li3CdAg3
_chemical_formula_sum 'Li18 Cd6 Ag18'
_space_group_name_H-M_alt 'R -3'
_space_group_IT_number 148
_space_group_name_Hall '-R 3'
_cell_length_a 7.0923
_cell_length_b 7.0923
_cell_length_c 17.1844
_cell_angle_alpha 90.00
_cell_angle_beta 90.00
_cell_angle_gamma 120.00
loop_
_atom_site_label
_atom_site_fract_x
_atom_site_fract_y
_atom_site_fract_z
_atom_site_occupancy
Li1 0.0227 0.7721 0.0622 1
Cd1 0.0000 0.0000 0.3556 1
Ag1 0.0467 0.7771 0.2152 1
```

***

# 4
Starting from the PBE geometry in Alexandria, the PXRD pattern of LiCd4Ag2 was calculated for Cu Kα.

Peak list (6 most intense, 2θ from 10° to 90°, most intense first)
2theta, I (rel.), hkl
39.35, 100, 2 0 1
39.73, 97, 0 4 1
37.31, 87, 2 4 0
29.12, 69, 2 2 0
32.07, 60, 0 2 1
32.72, 51, 2 3 0

```
data_LiCd4Ag2
_chemical_formula_sum 'Li2 Cd8 Ag4'
_space_group_name_H-M_alt 'P b a m'
Ed Vasko, director of the IPC, cites the “phenomenal amounts of growth” within the cybersecurity industry. The Treasure Valley in particular has experienced heavy industry growth, making it a big attraction point for cybercriminals.
However, cyberattacks aren’t limited to Idaho’s rich, bustling cityscapes. In fact, the state’s rural and underserved communities may be the most vulnerable.

Photo by Claire Keener | The Arbiter
“There’s an old adage in the cybersecurity industry: ‘the weakest link is always the place of attack,’” Vasko said. “Our rural and underserved communities, because they don’t have the expertise … they oftentimes have systems that are exposed and easily attackable. What you end up creating is an opportunity for cybercriminals to come in … and essentially [shut] down key services throughout cities and counties across the nation.”
Vasko explains that cybercriminals often seek “monetizable elements” when coordinating attacks. While these smaller Idaho communities may not always possess the critical data at the center of these attacks, communication between these communities and the state can create open access to more sensitive information — positioning these areas as backdoor entrances for heavily guarded state systems.
“Through that interweb of trust that exists at the city, county and state level, [cybercriminals are] now able to come back in through that and attack more urban environments and the state itself,” Vasko said.
One way Boise State plans to address this issue is by using Idaho’s academic institutions as a pipeline for creating a cybersecurity-ready workforce. According to Vasko, approximately 1,700 cybersecurity positions remain unfilled across the state, with 1,100 of those jobs residing in the Treasure Valley area.
This summer, the IPC was awarded $700,000 by the Idaho Global Entrepreneurial Mission’s Higher Education Research Council to establish the Cyberdome, a platform that will address labor shortages in the cybersecurity industry, minimize attack risks across the state, and activate “a more strategic, cyber-specific technology ecosystem,” as stated by Vasko.
As part of the Cyberdome initiative, Boise State is promoting competency-based learning by giving students real-world interaction and experience within the cybersecurity industry.
“The Cyberdome is meant to be that last piece, that piece that moves beyond simulation and beyond the classroom,” Vasko said. “Let’s take a student and give them the right level of knowledge … so that when they go out and start their career, they are able to sit down in a seat, knowing how to interact with the tools and techniques and processes that they’re going to have to leverage to be an appropriate, effective cyber professional.”
Isaac Bard is a senior computer science major working on the Cyberdome platform. According to Bard, he appreciates the immersive curriculum promoted by Vasko and hopes to see this approach to education reflected within other departments at Boise State.
“[Vasko] is advocating for a way of teaching and practical learning that is so much more directly impactful,” Bard said. “There’s not enough of this style of learning, where it’s hands-on, get dirty … it has been huge for me for getting a taste of what the industry would be like, way more than anything else I’ve done.”
Despite increasing cyber threats, Bard still remains optimistic for the future of the cybersecurity industry.
“The idea that, you know, we’re never gonna have enough people to fill the shoes and fix all the problems can be scary to some,” Bard said, “but it just leaves a ton of opportunity for growth and new things to learn, and new challenges to tackle in the future more than anything else in my mind.”